Thursday, May 21, 2009

Take a survey for Senator McCain | Support Toomey's against Specter

Country First PAC survey
Here's a short survey that Senator McCain wants your participation for. You do have to fill out your name and address, and then the
survey is short, but covers important issues. The Country First PAC will release a full report when all the information is analyzed. Over 40,000 have already responded. Please be sure to make your voice heard, too.

Senator John McCain

== Calculated crystals, kept here for reference ==
(1)
## CeMg4Cd5 (PBE-GGA)

Data for crystalline CeMg4Cd5 at its relaxed geometry.

Values from the calculation:
- Formation enthalpy at 0 K: -0.131 eV per atom
- Fermi-level density of states: 7.32 states/eV/f.u.

abc: 3.309 3.309 20.710
angles: 90.00 90.00 90.00
Space group P4/mmm (No. 123)
Unique sites:
Ce: 0.000 0.000 0.000 x1
Mg: 0.000 0.000 0.211 x2
Mg: 0.000 0.000 0.403 x2
Cd: 0.500 0.500 0.115 x2
Cd: 0.500 0.500 0.307 x2
Cd: 0.500 0.500 0.500 x1

(2)
## RbAcSnO3 (PBE-GGA)

Data for crystalline RbAcSnO3 at its relaxed geometry.

Values from the calculation:
- Uncorrected formation energy: -2097.4 meV per atom
- Fermi-level density of states: 0.00 states/eV/f.u.

abc: 7.078 3.722 11.324
angles: 90.00 97.91 90.00
Space group P2_1/m (No. 11)
Unique sites:
Rb: 0.217 0.250 0.261 x2
Ac: 0.339 0.750 0.875 x2
Sn: 0.222 0.250 0.603 x2
O: 0.124 0.250 0.771 x2
O: 0.381 0.750 0.655 x2
O: 0.430 0.750 0.097 x2

(3)
## TaZn3Pt (PBE-GGA)

Data for crystalline TaZn3Pt at its relaxed geometry.

Values from the calculation:
- Polymorph energy (0 for the lowest one): 0.00 kJ per mole of atoms
- Formation enthalpy at 0 K: 0.777 eV per atom
- Fermi-level density of states: 5.70 states/eV/f.u.

abc: 4.651 4.651 4.651
angles: 90.00 90.00 90.00
Space group Pm-3m (No. 221)
Unique sites:
Ta: 0.000 0.000 0.000 x1
Zn: 0.000 0.500 0.500 x3
Pt: 0.500 0.500 0.500 x1

----------

First-principles (PBE) data for MgGa2TeS6 after structural relaxation, as listed in Alexandria.

Lattice parameters (Å, degrees): 6.750 8.276 8.276 82.03 79.57 79.57
Element x y z (fractional)
1 S 0.454 0.565 0.708
2 S 0.136 0.985 0.801
3 S 0.889 0.358 0.915
4 S 0.046 0.292 0.435
5 S 0.636 0.801 0.985
6 S 0.611 0.085 0.642
7 S 0.546 0.435 0.292
8 S 0.864 0.015 0.199
9 S 0.954 0.708 0.565
10 S 0.111 0.642 0.085
11 S 0.389 0.915 0.358
12 S 0.364 0.199 0.015
13 Te 0.250 0.264 0.736
14 Te 0.750 0.736 0.264
15 Ga 0.749 0.602 0.788
16 Ga 0.249 0.788 0.602
17 Ga 0.251 0.398 0.212
18 Ga 0.751 0.212 0.398
19 Mg 0.750 0.099 0.901
20 Mg 0.250 0.901 0.099

Computed properties:
spin magnetization: 0.00 μB/cell
crystal system: monoclinic
raw formation energy: -5.53 eV per formula unit
theoretical density: 3.61 Mg/m³
VASP energy: -4.108 eV per atom

----------

*a*
VASP calculation (SCAN) on a crystal of S relaxed with PBEsol.

a = 4.3903 Å, b = 4.3796 Å, c = 4.3796 Å
α = 120.00°, β = 90.00°, γ = 90.00°
Last column: nearest neighbours and their distance in Å.
Element x y z (fractional)
1 S 0.5000 0.1930 0.0000  2 S 2.07
2 S 0.8333 0.0000 0.1930  2 S 2.07
3 S 0.1667 0.8070 0.8070  2 S 2.07

Output
V = 72.9 Å³/cell



*b*
VASP calculation (SCAN) on a crystal of S relaxed with PBEsol.

a = 10.5726 Å, b = 10.7228 Å, c = 11.0725 Å
α = 96.61°, β = 90.00°, γ = 90.00°
Last column: nearest neighbours and their distance in Å.
Element x y z (fractional)
1 S 0.6951 0.7705 0.7286  2 S 2.05
2 S 0.9871 0.0382 0.9511  2 S 2.05-2.06
3 S 0.1951 0.2295 0.2714  2 S 2.05
4 S 0.9135 0.3615 0.2366  2 S 2.05
== So much for the calculated crystals ==

Pat Toomey on YouTube.

Support Pat Toomey's bid for the PA Senate
Another matter that urgently needs your attention is the upcoming Senate race in PA. Yeah, I know you may not live in PA, but this race is crucial and we must do all we can to support Pat Toomey against the traitor (yes I did say traitor), Arlen Specter. If you're able, please send a donation, and if you're not able, then spread the word at least. We cannot allow Sen. Specter to continue in his position! A loss for Pat Toomey will make it almost a done deal for the Liberals to:
  • nationalize more private industries;
  • enact tax hikes of any kind;
  • impose government run and government rationed health care;
  • kill the First Amendment with the "Fairness Doctrine";
  • kill the Second Amendment through new gun restrictions; and
  • nominate activist leftist jurists to the federal courts.
Those are all things Pat Toomey has promised to fight against if elected. Let's do all we can to see that Pat Toomey wins and sends a loud, clear message to the Liberals and especially to turncoat Senator Arlen Specter.
Arlen Specter so feared a run against Mr. Toomey that he spent $100,000 to attack Mr. Toomey in a statewide ad, 13 days before Mr. Toomey announced he was running! Right after, Sen. Specter switched parties.

Computed, not measured: crystalline LiCuRe2 at its relaxed geometry at the PBE level of DFT.

Lattice parameters (Å, degrees): 2.5455 2.5455 8.7271 90.00 90.00 90.00
Closest atoms and distances in Å follow each position.
Fractional positions:
Li: 0.0000 0.0000 0.0000  4 Li 2.55
Cu: 0.0000 0.0000 0.5000  4 Cu 2.55, 8 Re 2.76
Re: 0.5000 0.5000 0.2607  4 Re 2.55, 4 Cu 2.76
Re: 0.5000 0.5000 0.7393  4 Re 2.55, 4 Cu 2.76

Summary:
**SG**: No. 123

=====

Computed, not measured: crystalline LiCuRe2 at its relaxed geometry at the PBE level of DFT.

Lattice parameters (Å, degrees): 5.0882 5.0882 2.5558 97.58 97.58 119.62
Closest atoms and distances in Å follow each position.
Fractional positions:
Li: 0.0000 0.0000 0.0000  2 Li 2.56, 2 Cu 2.56, 4 Re 2.69
Cu: 0.5000 0.5000 0.0000  2 Cu 2.56, 2 Li 2.56, 4 Re 2.69
Re: 0.0000 0.5000 0.5000  4 Re 2.56, 2 Li 2.69, 2 Cu 2.69
Re: 0.5000 0.0000 0.5000  4 Re 2.56, 2 Li 2.69, 2 Cu 2.69

Summary:
**SG**: No. 12

=====

Computed, not measured: crystalline LiCuRe at its relaxed geometry at the PBE level of DFT.

Lattice parameters (Å, degrees): 6.6247 6.6247 6.6247 157.82 157.82 31.57
Closest atoms and distances in Å follow each position.
Fractional positions:
Li: 0.0000 0.0000 0.0000  4 Li 2.55, 4 Cu 2.76
Cu: 0.3356 0.3356 0.0000  4 Cu 2.55, 4 Re 2.73, 4 Li 2.76
Re: 0.6749 0.6749 0.0000  4 Re 2.55, 4 Cu 2.73

Summary:
**SG**: No. 107

=====

Computed, not measured: crystalline LiCuRe3 at its relaxed geometry at the PBE level of DFT.

Lattice parameters (Å, degrees): 4.4828 4.4828 4.4828 90.00 90.00 90.00
Closest atoms and distances in Å follow each position.
Fractional positions:
Li: 0.0000 0.0000 0.0000  12 Re 3.17
Cu: 0.5000 0.5000 0.5000  6 Re 2.24
Re: 0.0000 0.5000 0.5000  2 Cu 2.24
Re: 0.5000 0.0000 0.5000  2 Cu 2.24
Re: 0.5000 0.5000 0.0000  2 Cu 2.24

Summary:
**SG**: No. 221

=====

Computed, not measured: crystalline LiCuRe2 at its relaxed geometry at the PBE level of DFT.

Lattice parameters (Å, degrees): 2.5846 4.2829 5.0719 90.00 98.37 90.00
Closest atoms and distances in Å follow each position.
Fractional positions:
Li: 0.0000 0.0000 0.0000  2 Cu 2.41, 2 Li 2.58, 1 Re 2.62
Cu: 0.0614 0.5000 0.7896  2 Li 2.41, 2 Cu 2.58, 1 Re 2.67
Re: 0.4506 0.0000 0.4982  4 Re 2.53-2.58, 2 Li 2.62-2.73
Re: 0.6708 0.5000 0.2732  4 Re 2.53-2.58, 3 Cu 2.67-2.79, 2 Li 2.75

Summary:
**SG**: No. 6

=====

Computed, not measured: crystalline LiCu2Re at its relaxed geometry at the PBE level of DFT.

Lattice parameters (Å, degrees): 4.1923 4.1923 4.1923 60.00 60.00 60.00
Closest atoms and distances in Å follow each position.
Fractional positions:
Li: 0.0000 0.0000 0.0000  8 Cu 2.57
Cu: 0.2500 0.2500 0.2500  4 Re 2.57, 4 Li 2.57
Cu: 0.7500 0.7500 0.7500  4 Re 2.57, 4 Li 2.57
Re: 0.5000 0.5000 0.5000  8 Cu 2.57

Summary:
**SG**: No. 225

=====

Computed, not measured: crystalline LiCuRe at its relaxed geometry at the PBE level of DFT.

Lattice parameters (Å, degrees): 2.6579 2.6579 6.8563 90.00 90.00 120.00

Monday, May 18, 2009

President Obama again shows his colors

President Obama made a joke at the Arizona State University that once again shows his colors: in remarking about the University's decision not to grant him an honorary degree because of his lack of experience, he joked that the university's leaders would soon learn about IRS audits.
Such a comment shows both his lack of understanding of his position, and his lack of consideration for the very real stress an IRS threat can cause people. Not to mention the still sore issue of his appointing admitted tax cheats to high positions.
Yet, Obama shows a great understanding of the way things work in politics and in the nation in other ways, when he is using that knowledge to manipulate the very foundations of our nation. So I question whether this is a naive faux pas by an inexperienced President, or just another chance for us to see his true colors: his inherent disdain for the American people and the American Way of Life.

Attached: data records >
=====
A geometry-optimized FeOs2W structure, computed with PBE.

Cell lengths 2.717, 2.717, 7.522 Å; angles 90.00, 90.00, 90.00 degrees
Fractional coordinates of all 4 atoms:
Fe1 0.000 0.000 0.000
Os1 0.000 0.000 0.482
Os2 0.500 0.500 0.230
W1 0.500 0.500 0.759

Properties
size of the total moment	0.00	μB/f.u.
energy relative to the lowest polymorph listed for this composition	100	meV per atom
energy relative to the elements	142	meV per atom
E	-10.83	eV per atom

---

A geometry-optimized ZnFeOsW structure, computed with PBE.

Cell lengths 4.267, 4.267, 4.267 Å; angles 60.00, 60.00, 60.00 degrees
Fractional coordinates of all 4 atoms:
Zn1 0.000 0.000 0.000
Fe1 0.750 0.750 0.750
Os1 0.250 0.250 0.250
W1 0.500 0.500 0.500

Properties
size of the total moment	0.00	μB/f.u.
energy relative to the elements	68	meV per atom
E	-8.41	eV per atom

---

A geometry-optimized YFe2Os structure, computed with PBE.

Cell lengths 5.332, 5.332, 5.332 Å; angles 145.30, 129.04, 63.13 degrees
Fractional coordinates of all 4 atoms:
Y1 0.000 0.000 0.000
Fe1 0.273 0.773 0.500
Fe2 0.727 0.227 0.500
Os1 0.500 0.500 0.000

Properties
size of the total moment	5.50	μB/f.u.
energy relative to the lowest polymorph listed for this composition	218	meV per atom
energy relative to the elements	301	meV per atom
E	-8.35	eV per atom

---

A geometry-optimized YFe2Os structure, computed with PBE.

Cell lengths 4.842, 4.842, 4.927 Å; angles 106.98, 106.98, 36.36 degrees
Fractional coordinates of all 4 atoms:
Y1 0.000 0.000 0.000
Fe1 0.495 0.495 0.500
Fe2 0.777 0.777 0.304
Os1 0.224 0.224 0.663

Properties
size of the total moment	4.26	μB/f.u.
energy relative to the lowest polymorph listed for this composition	205	meV per atom
energy relative to the elements	288	meV per atom
E	-8.37	eV per atom

---

- Number 4 is which compound?
  YFe2Os

----------

# 1
DFT (PBE) results for a relaxed structure of NaBiIrO4.

It has space group Imma (No. 74), with a = 6.530 Å, b = 6.952 Å, c = 9.376 Å, α = 90.00°, β = 90.00° and γ = 90.00°. Symmetry generates all atoms from Na at (0.000, 0.250, 0.120), Bi at (0.000, 0.000, 0.500), Ir at (0.250, 0.250, 0.750), O at (0.000, 0.063, 0.748) and O at (0.235, 0.250, 0.532).

Its raw total energy is -0.2167 Ha/atom. As for the calculated density: 7.62 Mg/m³. The formation energy (no corrections) comes out at -1.055 eV per atom. Its crystal system is orthorhombic.

***

# 2
DFT (PBE) results for a relaxed structure of NaBiIr2O8.

It has space group P-3 (No. 147), with a = 5.8571 Å, b = 5.8571 Å, c = 6.8510 Å, α = 90.00°, β = 90.00° and γ = 120.00°. Symmetry generates all atoms from Na at (0.0000, 0.0000, 0.0000), Bi at (0.0000, 0.0000, 0.5000), Ir at (0.3333, 0.6667, 0.4569), O at (0.0664, 0.3931, 0.6267) and O at (0.3333, 0.6667, 0.1940).

Its raw total energy is -0.2119 Ha/atom. As for the calculated density: 6.07 Mg/m³. The formation energy (no corrections) comes out at -0.550 eV per atom. Its crystal system is trigonal.

***

# 3
=====

clipped from

Mr. Obama has been accused of not appreciating the importance of financial capital to the proper functioning of the economy. But ill-chosen remarks like his ASU audit threat suggest that he also doesn't appreciate the role of moral capital. That, too, is essential to the proper functioning of a modern economy. As he looks for ways to pay for the spending campaign he's already embarked upon, he'd be well-advised to avoid comments that undercut the very tax system he'll be depending on.